Go Ahead- Be Bold–Wax Those Brows!

So you’ve heard about brow waxing? Go ahead, you’ll be glad you tidied yourself up! What to expect: the beautician will ask do you want a low, medium, or high arch? Beware the “high” one, it looks old-fashioned and you will look surprised 24/7. You can look up images ahead of time. There is also one called a “boy brow” which means straight across. She will warm up the wax and then apply it with a wooden stick. Next, they apply a gauze pad/strip and smooth it. Then they will quickly remove it like a band-aid, against the hair growth (think outside to inside). Next, she will pluck stray hairs with her tweezers and remove excess wax with a cleaner

Don’t try to out dress your girlfriends

Ladies– perhaps you have just begun your first office job.  Dress neatly and in a conservative fashion.  This also means:  hair, nails, and makeup.  You will have to build an office wardrobe.  It will take time, but choose quality clothing and shoes.  Don’t go overboard with the $250 purses and $80 shoes.  I know it is a long way away, but begin planning your career and socking away money.  Don’t try to compete with the company fashion plates.  I worked with a woman who was a very sharp dresser.  She had many pretty clothes, actually more than she needed.  She admitted to me one day that she had zero money in the bank.  Don’t you think this was a bit sad?  I do!3A_MIMI

Pee Wee- how to save $$ on vehicles

Folks, this is the top money saving tip I can give you–buy Toyota or Nissan vehicles.  This will save you thousands over the years.  Yes, they will cost more at purchase.  But you will keep them for many years.  My ’02 Nissan Xterra has 125,000 miles & the ’03 Toyota Tacoma has 100,176.  We have bought Fords and Pontiacs in the past.  But once we bought the first Toyota we were hooked. If you are wealthy, go ahead & buy a luxury car.  But if you are middle class, aim for Toyota or Nissa.  Trust me. We are believers.

Pee Wee says measure, don’t waste!

Today I had my washing machine filled and was ready to add the HE liquid soap.  I forgot, tipped the bottle over the tub and too much poured out.  It was probably double or even a bit more than I needed.  HE soap is more expensive than older brands and some newer models of washers requite it.  I knew this brand was more watery than others.  Lesson learned:  I just wasted quite a bit.  In the future remember to use the measuring cap.  I learned the same thing with another product:  Bionene (mouth rinse).

lightning strike!

Unrelated to this page: data records:
********
# Li3AlH6

A geometry-optimized Li3AlH6 structure (GGA-PBE, Materials Project).

Structure (CIF):
```
data_Li3AlH6
_cell_length_a 8.0163
_cell_length_b 8.0163
_cell_length_c 9.4621
_cell_angle_alpha 90.00
_cell_angle_beta 90.00
_cell_angle_gamma 120.00
_space_group_name_H-M_alt 'R -3'
_space_group_IT_number 148
_space_group_name_Hall '-R 3'
loop_
_atom_site_label
_atom_site_fract_x
_atom_site_fract_y
_atom_site_fract_z
Li1 0.0435 0.7747 0.2078
Al1 0.0000 0.0000 0.0000
Al2 0.0000 0.0000 0.5000
H1 0.0230 0.8397 0.8880
H2 0.0261 0.8308 0.4003
```


# MgSi2

A geometry-optimized MgSi2 structure (GGA-PBE, Materials Project).

Calculated values
Relative energy among the computed polymorphs = 160 meV per atom

Structure (CIF):
```
data_MgSi2
_cell_length_a 10.020
_cell_length_b 3.181
_cell_length_c 3.430
_cell_angle_alpha 90.00
_cell_angle_beta 108.33
_cell_angle_gamma 90.00
_space_group_name_H-M_alt 'C 1 2/m 1'
_space_group_IT_number 12
loop_
_space_group_symop_operation_xyz
'x,y,z'
'-x,-y,-z'
'-x,y,-z'
'x,-y,z'
'x+1/2,y+1/2,z'
'-x+1/2,-y+1/2,-z'
'-x+1/2,y+1/2,-z'
'x+1/2,-y+1/2,z'
loop_
_atom_site_label
_atom_site_fract_x
_atom_site_fract_y
_atom_site_fract_z
Mg1 0.000 0.000 0.000
Si1 0.197 0.500 0.702
```


# Mn3Co4Ge6

A geometry-optimized Mn3Co4Ge6 structure (GGA-PBE, Materials Project).

Structure (CIF):
```
data_Mn3Co4Ge6
_cell_length_a 5.092
_cell_length_b 8.736
_cell_length_c 7.854
_cell_angle_alpha 90.00
_cell_angle_beta 90.00
_cell_angle_gamma 90.00
_space_group_name_H-M_alt 'C m m 2'
_space_group_IT_number 35
loop_
_space_group_symop_operation_xyz
'x,y,z'
'-x,-y,z'
'-x,y,z'
'x,-y,z'
'x+1/2,y+1/2,z'
'-x+1/2,-y+1/2,z'
'-x+1/2,y+1/2,z'
'x+1/2,-y+1/2,z'
loop_
_atom_site_label
_atom_site_fract_x
_atom_site_fract_y
_atom_site_fract_z
Mn1 0.000 0.000 0.000
Mn2 0.250 0.250 0.752
Co1 0.000 0.500 0.252
Co2 0.000 0.500 0.752
Co3 0.250 0.250 0.251
Ge1 0.000 0.000 0.332
Ge2 0.000 0.000 0.668
Ge3 0.000 0.335 0.009
Ge4 0.000 0.335 0.494
```


For the records above, the corresponding V values read 526.6, 103.8, 349.4 Å³ per cell.
For the records above, the corresponding ΔE_f values read -376, 238, -148 meV per atom.
********

This is my first posting in a  long time.  Guess I haven’t had a lot to say!  Wordpress notified me that my password was compromised somehow, not really hacked, but I still was asked to reset it.  In July we had a lightning strike on our property.  We were both outside on the cement porch.  There were 3 booms of thunder, than a horribly bright flash of lightening plus the deafening roar.  I was so scared my left leg was temporarily paralyzed!  Two weeks later I was talking to two RN’s that I know and they said I may have been mildly shocked by the lightning!  That made me feel so strange, to think I was that close too being fried!  They asked was I wearing shoes or standing in water.  (yes to the first and no to the second).  We had just left our vehicle and hopped quickly onto the porch, so we got a few rain sprinkles on us.    I am thankful to be a Christian, and know my Lord is always looking out for me.  Still, this was a real wakeup call to how  close we are to meeting our heavenly Maker! I’ll be paying a lot more attention to lightning from now on!

Color Of The Flame

up for sale 11-1-16 at Solstice Publishing and Amazon!

Isn’t life strange.   Lilith looked back at her house getting smaller in the rear view mirror.  It was only five years ago when she and Trey lived in free migrant housing on the blueberry farm.  It was plain but warm enough in the Michigan winters.  It was a perk as a maid.  Yet when Ernie’s wife died, he married her and she moved into the big house.  Then Ernie died and the house and farm became hers.  She never knew she’d own a fruit farm; the work was hard but rewarding.   But bills and taxes can add up quickly.  Too quickly for a widow woman.

Snowfall’ s Secret

I am posting a fair review for reading an ARC of a new book, Snowfall’s Secret by Natalie Silk.  It’s not up for sale yet, but will be shortly on Solstice Publishing. Ms. Silk wrote a very interesting YA- Sci Fi book about a very strange girl that a family finds and takes in to protect her until they find her real family.  It was such an unusual book, I read it in one evening!  I hope Natalie writes more books like this!